Inside Looking Out: Your mind machine
Two guys are sitting at the bar in Boulder View Tavern. Andy orders a beer.
Rod: Now did your brain tell you to order that beer or did you exercise your free will?
Andy: Huh? Well, I chose to order it.
Rod: OK, but your mind decided for you that you wanted a beer.
Andy: What are you getting at?
Rod: That you don’t have the free will to decide what you want. Your brain determines everything you do. You’re thirsty, your mind says order a beer. You’re hungry, your brain tells you to eat. Somebody cuts you off on the turnpike and your mind makes you angry. It’s called cause and effect. Something happens and then your mind reacts. It’s like a machine that operates outside your control.
Andy: I think I’m making my own decisions. I tell myself what to do.
Rod: Do you tell your brain what to do or does your brain have a mind of its own?
Andy: So, what’s the big deal? Why should I care about any of this?
Rod: Look at it another way. Psychologists have proven that murderers may not be responsible for their crimes; that they had no free will, no choice to not commit the crimes.
Andy: Oh, they heard voices in their head telling them to murder, right? That’s just stupid to believe that. They could have decided not to kill somebody. Sometimes, I think I get angry enough that I could hurt someone, but I make the decision not to. I changed my mind.
Rod: Did you change your mind or did your mind stop you from hurting someone?
Andy: I just changed my mind about having a beer. Hey, bartender, get me a double Jack and Coke, please!
Stephen Cave, a writer for the Atlantic says, “In recent decades, research on the inner workings of the brain has helped to resolve the nature-nurture debate - and has dealt a further blow to the idea of free will. Brain scanners have enabled us to peer inside a living person’s skull, revealing intricate networks of neurons and allowing scientists to reach broad agreement that these networks are shaped by both genes and environment. But there is also agreement in the scientific community that the firing of neurons determines not just some or most but all of our thoughts, hopes, memories, and dreams.”
So, our brains are programmed by genetics and influenced by our environments and act accordingly. If I lived in Alaska, I would be a completely different person with a different mindset from the one who grew up in New Jersey and now lives in Pennsylvania. That’s the environment making me who I am. If I was born into a family with a history of depression, the likelihood is high that my mind would be battling depression, too. The argument against genetic behavior would say I can decide not to be depressed and therefore, I would break the family cycle.
Are we always responsible for all our actions? When the prosecuting attorney in a murder case says to the accused who admitted his guilt, “You knew what you were doing,” the guilty person can reply, “I did, but I had no choice. My mind told me to commit the crime and if my mind told me not to, then I wouldn’t have done it.”
As ridiculous as that may be, sometimes juries do decide that a murderer is not guilty due to abnormalities in his brain.
== Here the page breaks off for records of crystals ==
........
No. 1
Structure and computed powder XRD pattern of K2RbCd6 (a crystal structure in Alexandria, relaxed with GGA-PBE; Cu Kα (λ = 1.5418 Å)).

Top 8 peaks for 10° ≤ 2θ ≤ 80°, by angle:
d [Å], I (rel.)
5.571, 59
3.350, 24
3.034, 100
3.026, 29
2.871, 83
2.630, 45
2.143, 37
1.818, 31

Structural model:
Cell lengths 3.4281, 11.1425, 15.7820 Å; angles 90.00, 90.00, 90.00 degrees
Space group Immm (No. 71)
Symmetry-distinct sites (fractional):
K (0.0000, 0.0000, 0.1548) x4
Rb (0.0000, 0.5000, 0.0000) x2
Cd (0.0000, 0.2049, 0.3272) x8
Cd (0.0000, 0.3127, 0.5000) x4

---

No. 2
Structure and computed powder XRD pattern of KRb3Cd (a crystal structure in Alexandria, relaxed with GGA-PBE; Cu Kα (λ = 1.5418 Å)).

Top 8 peaks for 10° ≤ 2θ ≤ 80°, by angle:
d [Å], I (rel.)
7.840, 30
3.805, 100
3.697, 65
3.076, 54
2.964, 29
2.775, 25
2.060, 25
1.836, 25

Structural model:
Cell lengths 15.6799, 15.6799, 5.5509 Å; angles 90.00, 90.00, 90.00 degrees
Space group P4_2/mnm (No. 136)
Symmetry-distinct sites (fractional):
K (0.1909, 0.1909, 0.0000) x4
Rb (0.0058, 0.3212, 0.5000) x8
Rb (0.1068, 0.8932, 0.0000) x4
Cd (0.0679, 0.0679, 0.5000) x4

---

No. 3
Structure and computed powder XRD pattern of KRb2Cd (a crystal structure in Alexandria, relaxed with GGA-PBE; Cu Kα (λ = 1.5418 Å)).

Top 8 peaks for 10° ≤ 2θ ≤ 80°, by angle:
d [Å], I (rel.)
6.413, 44
4.242, 76
3.703, 30
3.538, 100
3.394, 35
3.307, 30
2.953, 31
2.729, 29

Structural model:
Cell lengths 12.3635, 8.4819, 10.9162 Å; angles 90.00, 116.04, 90.00 degrees
Space group P2_1/c (No. 14)
Symmetry-distinct sites (fractional):
K (0.0007, 0.0000, 0.1945) x4
Rb (0.2889, 0.2176, 0.6440) x4
Rb (0.3454, 0.7489, 0.4233) x4
Cd (0.0761, 0.6448, 0.0384) x4

---

No. 4
Structure and computed powder XRD pattern of K4Rb7Cd (a crystal structure in Alexandria, relaxed with GGA-PBE; Cu Kα (λ = 1.5418 Å)).

Top 8 peaks for 10° ≤ 2θ ≤ 80°, by angle:
d [Å], I (rel.)
8.405, 17
4.043, 100
3.633, 34
3.495, 30
3.388, 30
2.519, 24
2.478, 24
2.168, 17

Structural model:
Cell lengths 15.5008, 7.2655, 17.3219 Å; angles 90.00, 103.95, 90.00 degrees
Space group C2/m (No. 12)
Symmetry-distinct sites (fractional):
K (0.0402, 0.0000, 0.3051) x4
K (0.1777, 0.5000, 0.7651) x4
Rb (0.0000, 0.5000, 0.5000) x2
Rb (0.0888, 0.5000, 0.1370) x4
Rb (0.1410, 0.0000, 0.9569) x4
Rb (0.2426, 0.0000, 0.5937) x4
Cd (0.0000, 0.0000, 0.5000) x2

---

No. 5
Structure and computed powder XRD pattern of K14RbCd (a crystal structure in Alexandria, relaxed with GGA-PBE; Cu Kα (λ = 1.5418 Å)).

Top 8 peaks for 10° ≤ 2θ ≤ 80°, by angle:
d [Å], I (rel.)
3.938, 37
3.706, 41
3.621, 67
3.478, 100
2.699, 23
2.353, 19
2.093, 19
1.903, 19

Structural model:
Cell lengths 14.8256, 8.9481, 16.6010 Å; angles 90.00, 90.00, 90.00 degrees
Space group Amm2 (No. 38)
Symmetry-distinct sites (fractional):
K (0.0000, 0.0000, 0.0000) x2
K (0.0000, 0.0000, 0.4927) x2
K (0.0000, 0.2426, 0.2458) x4
K (0.2392, 0.0000, 0.6539) x4
K (0.2570, 0.2460, 0.8999) x8
K (0.2926, 0.0000, 0.1307) x4
........
== Back to the page ==
Cave also says, “Cases of ordinary adults becoming murderers or pedophiles after developing a brain tumor demonstrate how dependent we are on the physical properties of our gray stuff.”
That I believe I have free will or my mind has a mind of its own leaves me scratching my head. Let’s go back to the two guys in the bar.
Andy: There it is, my friend. I used my free will to cancel the beer and order a Jack and Coke.
Rod: But you can’t be sure if you decided or your brain ordered you what to do.
Andy: Right now, my mind is telling me to have a few more drinks because you’re giving me a headache.
Rod: Go ahead, but you’d better hope that my mind tells me that I have to drive you home.
I think that we human beings must believe that we have free will; otherwise, we could never accept responsibility for our actions. Yet, I still have to wonder if my brain is some kind of unlimited power that pushes my buttons every day. I know this to be true, too. When I try to fall asleep some nights, my brain won’t stop working and I can’t stop it and it keeps me up most of the night.
Cave also mentioned that when we dream at night, we don’t consciously order up one. It just seems to happen as if our brains are creating visual scenes for us to watch inside our heads without our consent.
An hour later back at the bar, a duo called Strawberry Jam was about to play songs pretty much everyone knows from 60 years ago.
“If you remember the ’60s,” the lead vocalist said, “Then you weren’t really there.”
Andy: There you go! The hippies used their free will to smoke pot and have no memory of what they did back then. They willingly altered their minds.
Rod: Good point. So, I’m going to willingly alter my mind and use my free will to give you the check to pay for our drinks. Thanks, my friend!
Rich Strack can be reached at